View Full Version : 3rd Ed Magic Pollution game mechanics

2021-07-15, 08:43 AM
So I am trying to think of what you would expect to get from magical pollution, I am interested in both game based mechanics and just cool ideas people might have.

So far from game mechanics I have the following:
Wild Magic region
Spellwarped template
living Spell template
Dead Magic Region

2021-07-15, 09:02 AM
Some adaptation of Node Magic?

2021-07-15, 09:47 AM
You could take the rules from BoVD about regions touched by Evil and reflavour them?

2021-07-15, 09:54 AM
The Athasian desert?

2021-07-15, 09:55 AM
Ever hear of Athas, the world of the Dark Sun campaign setting?

2021-07-15, 09:56 AM
You could also see more Magical Beasts and Aberrations and Oozes and stuff in general. Maybe it would also lure dragons, though maybe they want their magic less polluted. But feral hordes of Disenchanters roaming the Blight lands instead of antelope would certainly set a scene.

Thrice Dead Cat
2021-07-15, 10:16 AM
I like the previously mentioned ideas of having extra magical beasts and oozes replacing regular animals. Plus, who can forget Athas where mages sucked the life from the planet?

-- Here the page breaks off for records of crystals --
┌──
1) First-principles (PBE) data for ZnInTe2N after structural relaxation, as listed in the Alexandria database.

- Magnetization: 1.6 μB per cell

Lattice parameters (Å, degrees): 5.923 5.923 4.020 90.00 90.00 90.00
Site moments in Bohr magnetons follow the coordinates.
Sites, in units of the cell vectors:
Te (0.000, 0.500, 0.000)  0.15
Te (0.500, 0.000, 0.000)  0.15
In (0.000, 0.000, 0.000)  -0.02
N (0.000, 0.000, 0.500)  0.84
Zn (0.500, 0.500, 0.500)  -0.02



2) First-principles (PBE) data for ZnInTe2N after structural relaxation, as listed in the Alexandria database.

- Magnetization: 2.0 μB per cell

Lattice parameters (Å, degrees): 6.018 6.018 3.578 90.00 90.00 90.00
Site moments in Bohr magnetons follow the coordinates.
Sites, in units of the cell vectors:
N (0.000, 0.000, 0.500)  0.92
Te (0.500, 0.000, 0.000)  0.19
Te (0.000, 0.500, 0.000)  0.19
Zn (0.000, 0.000, 0.000)  0.09
In (0.500, 0.500, 0.500)  0.01



Of the structures shown above, 1) is the least stable.

----------

Here is an optimized crystal structure of SrTeAu3 from Alexandria via LeMat-Bulk. Energies are from PBE.

Cell lengths 5.6188, 5.6188, 5.6188 Å; angles 90.00, 90.00, 90.00 degrees
Element x y z (fractional)
Au 0.5000 0.0000 0.0000
Au 0.0000 0.5000 0.0000
Au 0.0000 0.0000 0.5000
Te 0.5000 0.5000 0.5000
Sr 0.0000 0.0000 0.0000

Formation energy without anion corrections (eV/atom): 0.707
Space-group type: No. 221


Here is an optimized crystal structure of Pr12Dy3In from Alexandria via LeMat-Bulk. Energies are from PBE.

Cell lengths 5.1286, 5.1286, 20.7931 Å; angles 90.00, 90.00, 90.00 degrees
Element x y z (fractional)
Pr 0.0000 0.5000 0.1210
Pr 0.5000 0.0000 0.8790
Pr 0.5000 0.5000 0.5000
Pr 0.5000 0.0000 0.3738
Pr 0.5000 0.0000 0.6262
Pr 0.5000 0.0000 0.1210
Pr 0.5000 0.5000 0.7525
Pr 0.0000 0.5000 0.6262
Pr 0.0000 0.5000 0.3738
Pr 0.0000 0.5000 0.8790
Pr 0.5000 0.5000 0.2475
Pr 0.5000 0.5000 0.0000
Dy 0.0000 0.0000 0.2484
Dy 0.0000 0.0000 0.5000
Dy 0.0000 0.0000 0.7516
In 0.0000 0.0000 0.0000

DFT formation energy (meV/atom): -51
Space-group type: No. 123


Here is an optimized crystal structure of Co3SiH from Alexandria via LeMat-Bulk. Energies are from PBE.

Cell lengths 3.5204, 3.5204, 5.3128 Å; angles 90.00, 90.00, 90.00 degrees
Element x y z (fractional)
Co 0.5000 0.0000 0.4476
Co 0.0000 0.5000 0.4476
Co 0.0000 0.0000 0.7389
H 0.5000 0.5000 0.4651
Si 0.0000 0.0000 0.1645

Uncorrected energy (eV per atom): -5.657
└──

I also like the idea of there being a larger concentration of psionic creatures (and NPCs), but that might be on too long a time scale to be practical for your narrative (or maybe not). If nothing else, having psionic children be a byproduct of pollution could be interesting story beat rather than the regular issues of cancer and other deformities that tend to follow regular pollution.

2021-07-15, 12:13 PM
Ever hear of Athas, the world of the Dark Sun campaign setting?

Here the piece breaks off for crystal structures.
- - -
--- w ---
The following is a GGA-PBE calculation of CsHf2Mo after structural relaxation, from Alexandria.

POSCAR file:
```
CsHf2Mo
1.0
0.000 3.573 3.573
3.573 0.000 3.573
3.573 3.573 0.000
Cs Hf Mo
1 2 1
direct
0.000 0.000 0.000 Cs
0.250 0.250 0.250 Hf
0.750 0.750 0.750 Hf
0.500 0.500 0.500 Mo
```

Results
density of states at the Fermi level = 1.22 states/eV/atom
V = 91.3 Å³/cell

---

--- x ---
The following is a GGA-PBE calculation of CsHf2Mo after structural relaxation, from Alexandria.

POSCAR file:
```
CsHf2Mo
1.0
-3.948 3.948 5.651
3.948 -3.948 5.651
3.948 3.948 -5.651
Cs Hf Mo
2 4 2
direct
0.375 0.625 0.750 Cs
0.625 0.375 0.250 Cs
0.000 0.000 0.000 Hf
0.000 0.000 0.500 Hf
0.000 0.500 0.000 Hf
0.500 0.000 0.500 Hf
0.125 0.875 0.250 Mo
0.875 0.125 0.750 Mo
```

Results
density of states at the Fermi level = 1.21 states/eV/atom
V = 352.3 Å³/cell

---

If we sort the structures by their calculated energies, the order from most to least stable is w, x.

---

--- w ---
The following is a GGA-PBE calculation of CsHfSN2 after structural relaxation, from Alexandria.

POSCAR file:
```
CsHfSN2
1.0
4.181 0.000 0.000
0.000 4.181 0.000
0.000 0.000 5.851
Cs Hf S N
1 1 1 2
direct
0.000 0.000 0.000 Cs
0.500 0.500 0.500 Hf
0.000 0.000 0.500 S
0.000 0.500 0.000 N
0.500 0.000 0.000 N
```

Results
density of states at the Fermi level = 0.69 states/eV/atom
V = 102.3 Å³/cell

---

--- x ---
The following is a GGA-PBE calculation of CsHfSN2 after structural relaxation, from Alexandria.

POSCAR file:
```
CsHfSN2
1.0
4.510 0.000 0.000
0.000 4.510 0.000
0.000 0.000 5.059
Cs Hf S N
1 1 1 2
direct
0.000 0.000 0.000 Cs
0.500 0.500 0.500 Hf
0.500 0.500 0.000 S
0.000 0.500 0.500 N
0.500 0.000 0.500 N
```

Results
density of states at the Fermi level = 0.19 states/eV/atom
V = 102.9 Å³/cell

---

If we sort the structures by their calculated energies, the order from most to least stable is x, w.

---

--- w ---
The following is a GGA-PBE calculation of Cs2NaHfPb after structural relaxation, from Alexandria.

POSCAR file:
```
Cs2NaHfPb
1.0
6.174 0.000 0.000
0.000 6.174 0.000
0.000 0.000 6.138
Cs Na Hf Pb
2 1 1 1
direct
0.000 0.500 0.000 Cs
0.500 0.000 0.000 Cs
0.000 0.000 0.000 Na
0.000 0.000 0.500 Hf
0.500 0.500 0.500 Pb
```

Results
density of states at the Fermi level = 0.89 states/eV/atom
V = 234.0 Å³/cell

---

--- x ---
The following is a GGA-PBE calculation of Cs2NaHfPb after structural relaxation, from Alexandria.

POSCAR file:
```
Cs2NaHfPb
1.0
7.607 0.000 0.000
0.000 7.607 0.000
0.000 0.000 5.598
Cs Na Hf Pb
2 1 1 1
direct
0.000 0.500 0.000 Cs
0.500 0.000 0.000 Cs
0.000 0.000 0.500 Na
0.500 0.500 0.500 Hf
0.500 0.500 0.000 Pb
```

Results
density of states at the Fermi level = 1.28 states/eV/atom
V = 324.0 Å³/cell

---

If we sort the structures by their calculated energies, the order from most to least stable is x, w.


Entry 1:
DFT (PBE) results for a geometry-optimized Te5S12F3 structure.

```
Te5S12F3
1.0
-7.7762 7.7762 7.7762
7.7762 -7.7762 7.7762
- - -

I had forgotten about Dark Suns! I do like Dark Suns but that is a bit more extreme than I am looking for but good for inspiration.

I like the idea behind Defiler arcane magic that you are stealing magic from the world around you as it were. Though not sure how to implement mechanics to go along with the 'defiler' magic idea.

I like the previously mentioned ideas of having extra magical beasts and oozes replacing regular animals. Plus, who can forget Athas where mages sucked the life from the planet?

I also like the idea of there being a larger concentration of psionic creatures (and NPCs), but that might be on too long a time scale to be practical for your narrative (or maybe not). If nothing else, having psionic children be a byproduct of pollution could be interesting story beat rather than the regular issues of cancer and other deformities that tend to follow regular pollution.
So psionics is 'magic cancer' that is a kind of fun idea and I feel like I have seen some fantasy precedence for it too. Could give wild talent and hidden talent as bonus feats but not have any of the base psionic classes maybe just limit it to the psionic PRCs to make it 'more new' and less understood.

2021-07-15, 12:45 PM
The Mournlands from Eberron probably fit the description. The fluff text says that bodies there don't decompose. It's surrounded by the "Dead-Grey Mist" (Eberron Campaign Setting p.188), which is more of a natural hazard than a magical thing. Natural healing doesn't work, and the Healing subschool doesn't either. The text mentions lots of mutated monsters, but doesn't give specific examples. (I'd consider adding the Pseudonatural template).

2021-07-15, 12:53 PM
Libris Mortis’ & Oriental Adventures Taint might be what you’re after. Basically evil energies are mutagenic in nature resulting in physical and mental illness and malignancy. Evil characters can learn to harness Taint to fuel themselves but often end up polluting more in doing so.

2021-07-15, 01:01 PM
So a few ideas;

Magic as Comic-Book-Depicted Radiation: Things with weird powers, ominous colored glows, extraneous limbs, appendages and growths. Nothing really dies but quality of life takes a huge down turn unless you are one of the lucky ones.

Magic as a Stand-In for Capitalism: Over embellish real-life pollution. Sentient black sludge, roaming trash monsters, natural creatures entangled in magical by-products.

Magic as the Unknowable: Break out the HP Lovecraft. Everything touched by magic becomes tainted in time. Slimy residues, strange ichors and vivid nightmares follow a mage.

### Materials data that have nothing to do with the text
____________
Compound: HoErCu2Pb
Source: OQMD via LeMat-Bulk
Functional: GGA-PBE
Structure: optimized geometry

Cell: 3.654 4.206 13.922 Å, 90.00 90.00 90.00°
Space group Amm2 (No. 38)
Unique sites:
1 Ho 0.000 0.000 0.000 (multiplicity 2)
2 Er 0.000 0.000 0.272 (multiplicity 2)
3 Cu 0.500 0.000 0.432 (multiplicity 2)
4 Cu 0.500 0.000 0.839 (multiplicity 2)
5 Pb 0.500 0.000 0.636 (multiplicity 2)

Volume = 21.40 Å³ per atom
Raw total energy = -44.3 eV per cell
ρ = 10.34 g/cm³


# 1
## Pr2NiHg (PBE)

Data for a relaxed structure of Pr2NiHg.

a b c (Å): 5.0728 8.4297 6.1078
angles (deg): 110.22 114.54 90.00
With the nearest neighbours (Å) after each atom.
Sites, in units of the cell vectors:
Pr1 0.1704 0.5854 0.3413  2 Ni 2.74
Pr2 0.8296 0.4146 0.6587  2 Ni 2.74
Pr3 0.1709 0.0854 0.3413  2 Ni 2.74
Pr4 0.8291 0.9146 0.6587  2 Ni 2.74
Ni1 0.0006 0.7500 0.0000  2 Hg 2.54, 4 Pr 2.74
Ni2 0.9994 0.2500 0.0000  2 Hg 2.54, 4 Pr 2.74
Hg1 0.4995 0.2500 0.0000  2 Ni 2.54
Hg2 0.5005 0.7500 0.0000  2 Ni 2.54

Summary:
For the total energy, the calculation gives -0.297 Ry per atom. Its energy relative to the elements is -0.131 eV/atom. As for the total magnetization: 0.00 μB per formula unit. As for the energy above the most stable polymorph in this dataset: 0.774 eV/f.u.


# 2
## Tb3Y8Sc2 (PBE)

Data for a relaxed structure of Tb3Y8Sc2.

a b c (Å): 6.7071 9.3695 9.3695
angles (deg): 58.10 62.79 62.79
With the nearest neighbours (Å) after each atom.
Sites, in units of the cell vectors:
Tb1 0.5000 0.0000 0.0000  6 Y 3.11-3.43, 2 Sc 3.37
Tb2 0.0000 0.1703 0.8297  1 Tb 3.10, 4 Y 3.41-3.42
Tb3 0.0000 0.8297 0.1703  1 Tb 3.10, 4 Y 3.41-3.42
Y1 0.0336 0.5928 0.5928  4 Y 3.30-3.49, 2 Tb 3.42, 1 Sc 3.48
Y2 0.9664 0.4072 0.4072  4 Y 3.30-3.49, 2 Tb 3.42, 1 Sc 3.48
Y3 0.0161 0.1897 0.1897  1 Tb 3.11, 1 Sc 3.23, 3 Y 3.40-3.47
Y4 0.9839 0.8103 0.8103  1 Tb 3.11, 1 Sc 3.23, 3 Y 3.40-3.47
Y5 0.5470 0.5601 0.1980  4 Y 3.29-3.67, 2 Sc 3.31-3.43, 2 Tb 3.41-3.43
Y6 0.5470 0.1980 0.5601  4 Y 3.29-3.67, 2 Sc 3.31-3.43, 2 Tb 3.41-3.43
Y7 0.4530 0.8020 0.4399  4 Y 3.29-3.67, 2 Sc 3.31-3.43, 2 Tb 3.41-3.43
Y8 0.4530 0.4399 0.8020  4 Y 3.29-3.67, 2 Sc 3.31-3.43, 2 Tb 3.41-3.43
Sc1 0.5210 0.2010 0.2010  7 Y 3.23-3.49, 3 Tb 3.37-3.54
Sc2 0.4790 0.7990 0.7990  7 Y 3.23-3.49, 3 Tb 3.37-3.54

Summary:
For the total energy, the calculation gives -0.426 Ry per atom. Its energy relative to the elements is 0.230 eV/atom. As for the total magnetization: 0.00 μB per formula unit. As for the energy above the most stable polymorph in this dataset: 0.000 eV/f.u.
____________

2021-07-15, 01:01 PM
I'd use Heroes of Horrors' Taint mechanic for magic if I wanted it to be a polluting force. Refluff the depravity and corruption to more magical looking stuff, third eyes, runes, glow underneath the skin, wild prehensile beards etc.

Wizards and sorcerers automatically cast off of Taint instead of key ability scores, meaning that high level wizards are mad and corrupted by their own magic, and eventually succumb to their own lust for power, and might become liches to stave off dissolving into magic goo (storing their taint in a receptacle as you would nuclear waste, making destroying them a dangerous task).

2021-07-15, 01:05 PM
Heroes of Horror, not Libris Mortis. But if we are talking taint...

There once was an attempt to make an adaption of Warcraft for D&D 3.x
In Warcraft, arcane magic is addicting and possibly corruptive. The sourcebook Magic & Mayham tried to model this effect by introducing a mechanic that looks suspiciously like taint, but with different flavours depending on what school of magic you use the most.
Could be helpful to look that up.

Silly Name
2021-07-15, 01:27 PM
One idea that sprang up in mind is having the magic "overflow": springs and wells are infused with magic, and if you drink their water you get a random potion effect, including harmful ones. The few non-tainted wells are extremely precious.

Elementals run rampant, appear suddenly and die in an explosion of their respective element, constantly reshaping the land.

2021-07-15, 02:15 PM
There are rules for "Arcane Pollution" in Cityscape p32-33, which produces random spell effects if you enter it (e.g. baleful polymorph).

2021-07-15, 03:34 PM
Taint/depravity/corruption seems like a pretty interesting mechanic for dealing with the mechanics of 'defiler' arcane magic though some thought would have to be given to avoid abuse from being undead (like your taint is fixed as undead), I think tainted Sorcerer and Scholar can be used as is but would have to be paid close attention to for pcs.

Maybe 'Preserver' arcanists need some variant of Southern Magician feat, maybe turning it into a meta magic feat that allows you to cast arcane spells as divine spells (off of normal stat) at a +1 spell level?

I think some of the NPC templates in DMG2 might work well too.

One note I have is that I think magic pollution doesn't necessarily have to be just 'evil' like it is in the case of taint/corruption/depravity mechanics. An area where druids have been using a lot of magic for example could end up concentrating a 'nature energy' which turns creatures their into plant like cleatures giving them the greenbound or woodling templates or maybe even blightspawn. A wild magic area on the other hand could create chimeric, multi-headed, pseudonatural (maybe adjusted to be aberrations instead of outsiders), and spellwarped creatures.

Mournland like stated above is another interesting place perhaps undead creatures flourish there...

2021-07-15, 04:53 PM
In the Discworld books there are several examples of this. Where an extremely powerful spell (epic spell in 3.5 terms) hit various effects can linger for long afterwards, causing the normal laws of reality to be altered or suspended entriely. Effects vary from the spectacular (an upside-down mountain) to the trivial (a flipped coin landing on its edge changing from a rare occurrence to the most common outcome). It also makes the barrier between imagination and reality thinner, so if you imagine a dragon vividly enough one will appear.

A more mundane example is the rubbish dump of the magical university where lots of rubbish which has been used for magical purposes is dumped, which collectively contains a fair bit of residual magic. The result in this case was that the local wildlife (a bunch of rats and a feral cat) became sentient and gained the ability to speak.

2021-07-16, 02:01 AM
Planar traits (not only dead magic or wild magic, but elemental-dominant, alignment traits, impeded or enhanced magic, etc.) might be incorporated as part of a “magic pollution” / “magic enhancement” sort of effect as well.

2021-07-16, 04:21 AM
Dragon #350 have the "Magical Pollution" and "Creatures of Corruption" articles, which includes some hazards (Herbal Rot, Shadow Nightmares), monsters (Alchemical Undead, Toxic Ooze), magical locations (Artificer's Dump, Grave-Tainted Well), and templates (Arcane-Blood Creature, Corrupted Creature, Poisonous Creature, Stonebone Creature)

Fouredged Sword
2021-07-16, 08:11 AM
I think it should be a slow erosion of the world itself, as in the barriers between the prime material plane and other places.

In the small scale, not much happens. The area has a slightly higher rate of elementals, dire animals, undead, and other such creatures. The planes are leaking into the world, but only at trace amounts. The corruption exists, but not sufficient to effect things in any sudden manner. Rather it slowly pools. If enough collects in a spot you get undead or elementals. If enough collects in a creature you get dire or otherwise mutated creatures. A lot would depend on the type of magic and the relative "alignment" of the area in question. Corruption caused by necromancy would lean towards undead, but so would a region that just happens to be "close" to the shadow plane regardless of the magic used.

At moderate corruption you start to see the modified creatures displace the native environment and the climate itself changes. The corruption has built up to a point that it's not just pooling in isolated places and in creatures. It has suffused the environment itself. Places connected to the fire plane, for example, would shift up a temperature band or two compared to the area around them. Maybe there are more storms if the place is connected to the chaos plane. Regardless of the specifics, things get more extreme, but things have not progressed so far that time won't heal the wound in the world.

Major corruption signifies a breach. The fabric between the planes grows so thin and the amount of planer magic on the material side builds up to the point that someplace gives. A natural permanent gate forms. There is now a breach between the prime material and someplace else. The power of that plane pours out like a dam breaking and grossly swings the environment and creatures in the area towards it's nature. What more, creatures native to the plane can find there way through the breach ether intentionally or not. What is worse, the breach is self sustaining. The world can no longer heal on it's own. Powerful magics must be bent towards closing the hole in reality. Left on it's own, the situation deteriorates.

In the worst case, a total collapse happens. The whole region becomes collocated on both the prime material and the plane in question. Any creature within the area counts as being in both planes. All the traits of the plane in question apply. All creatures that attempt to leave the region must make a DC 24 willsave. If they pass that save they may choose what plane they exit onto, ether the material or the other plane in question. On a failed save the creature in question rolls a d100. On a roll of 2-40 they end up in the prime material plane. On a roll of 51-99 they end up on the other plane. On a roll of 1 the creature is sent to a random location on a random plane. On a roll of 100 the creature is sent to a plane of their choosing and a location of their choice, with their destination randomized by 1d100 miles. The save can only be made once per day, with the result being maintained for the entirety of that day.